Your job: type out everything further below with every line break kept.

'''
For TaV2BiO8, a crystal structure in Alexandria, relaxed with GGA+U gives the theoretical powder X-ray diffraction pattern in this record (λ = 1.5418 Å (Cu Kα)).
Peak positions follow from Bragg's law for the DFT cell and can differ from measured ones.

Principal peaks in the range 2θ = 15–90°, in order of rising 2θ:
18.7 deg, I 74
26.1 deg, I 62
26.9 deg, I 54
33.4 deg, I 100
37.8 deg, I 27
38.8 deg, I 27
50.9 deg, I 42
51.8 deg, I 36

Structural model:
Lattice parameters (Å, degrees): 4.759 4.759 6.487 90.00 90.00 91.69
Fractional coordinates of all 12 atoms:
Ta 0.000 0.000 0.000
V 0.500 0.500 0.250
V 0.500 0.500 0.750
Bi 0.000 0.000 0.500
O 0.214 0.214 0.217
O 0.214 0.214 0.783
O 0.298 0.702 0.000
O 0.331 0.669 0.500
O 0.669 0.331 0.500
O 0.702 0.298 0.000
O 0.786 0.786 0.217
O 0.786 0.786 0.783


For TaBiW2O10, a crystal structure in Alexandria, relaxed with GGA+U gives the theoretical powder X-ray diffraction pattern in this record (λ = 1.5418 Å (Cu Kα)).
Peak positions follow from Bragg's law for the DFT cell and can differ from measured ones.

Principal peaks in the range 2θ = 15–90°, in order of rising 2θ:
23.0 deg, I 78
26.9 deg, I 100
27.1 deg, I 51
35.7 deg, I 72
35.8 deg, I 33
47.7 deg, I 24
53.6 deg, I 28
55.1 deg, I 42

Structural model:
Lattice parameters (Å, degrees): 3.861 7.624 7.624 119.63 90.00 90.00
Fractional coordinates of all 14 atoms:
Ta 0.000 0.000 0.000
Bi 0.000 0.477 0.477
W 0.000 0.500 0.997
W 0.000 0.997 0.500
O 0.000 0.092 0.310
O 0.000 0.304 0.719
'''

For TaV2BiO8, a crystal structure in Alexandria, relaxed with GGA+U gives the theoretical powder X-ray diffraction pattern in this record (λ = 1.5418 Å (Cu Kα)).
Peak positions follow from Bragg's law for the DFT cell and can differ from measured ones.

Principal peaks in the range 2θ = 15–90°, in order of rising 2θ:
18.7 deg, I 74
26.1 deg, I 62
26.9 deg, I 54
33.4 deg, I 100
37.8 deg, I 27
38.8 deg, I 27
50.9 deg, I 42
51.8 deg, I 36

Structural model:
Lattice parameters (Å, degrees): 4.759 4.759 6.487 90.00 90.00 91.69
Fractional coordinates of all 12 atoms:
Ta 0.000 0.000 0.000
V 0.500 0.500 0.250
V 0.500 0.500 0.750
Bi 0.000 0.000 0.500
O 0.214 0.214 0.217
O 0.214 0.214 0.783
O 0.298 0.702 0.000
O 0.331 0.669 0.500
O 0.669 0.331 0.500
O 0.702 0.298 0.000
O 0.786 0.786 0.217
O 0.786 0.786 0.783


For TaBiW2O10, a crystal structure in Alexandria, relaxed with GGA+U gives the theoretical powder X-ray diffraction pattern in this record (λ = 1.5418 Å (Cu Kα)).
Peak positions follow from Bragg's law for the DFT cell and can differ from measured ones.

Principal peaks in the range 2θ = 15–90°, in order of rising 2θ:
23.0 deg, I 78
26.9 deg, I 100
27.1 deg, I 51
35.7 deg, I 72
35.8 deg, I 33
47.7 deg, I 24
53.6 deg, I 28
55.1 deg, I 42

Structural model:
Lattice parameters (Å, degrees): 3.861 7.624 7.624 119.63 90.00 90.00
Fractional coordinates of all 14 atoms:
Ta 0.000 0.000 0.000
Bi 0.000 0.477 0.477
W 0.000 0.500 0.997
W 0.000 0.997 0.500
O 0.000 0.092 0.310
O 0.000 0.304 0.719